
SNP climate spin revealed

For immediate release 12 November 2010

The Scottish Green Party today published research showing that almost a quarter of the carbon cuts claimed by Scottish Ministers since simply have not been achieved. The emissions from Scotland's offshore oil and gas industry have been kept off Scotland's books by UK administrations keen to undermine the SNP argument that "it's Scotland's oil". Even these emissions do not count the climate consequences of burning the oil and gas extracted, merely those associated with extraction and production.

While SNP Ministers continue to claim 90% of the income from oil and gas in Scottish waters, they have failed to take the corresponding 90% of the emissions from these offshore industries into account. These so-called "unallocated emissions" have risen since 1990, and Scotland's real emissions have therefore fallen by far less than claimed by Scottish Ministers. Last year's Climate Change Act set a target of a 42% reduction by 2020, and SNP Minister Stewart Stevenson inaccurately claimed just last month that "Scotland has reached the halfway point". In addition, the decision to allow deepwater oil exploration, backed by SNP, Labour, LibDems and Tories at Holyrood, will result in even more pollution from Scottish waters. This pollution which will again remain uncounted against Scotland's targets.

Patrick Harvie MSP said:

-- What comes next are crystal structures, not part of the entry --
********
[1]
Material: DyNbB
Method: DFT, PBE-GGA
State: relaxed

Its total DFT energy (no corrections) is -64.84 eV for the cell shown. As for the total magnetization: 0.98 μB per atom. For the distance to the lowest polymorph of the same formula, the calculation gives 1.484 eV per atom.

Cell: 6.358 6.358 6.358 Å, 90.00 90.00 90.00°
Space group F-43m (No. 216)
Symmetry-distinct sites (fractional):
Dy 0.000 0.000 0.000 (multiplicity 4)
Nb 0.250 0.250 0.250 (multiplicity 4)
B 0.250 0.250 0.750 (multiplicity 4)



[2]
Material: NdDyB
Method: DFT, PBE-GGA
State: relaxed

Its total DFT energy (no corrections) is -62.38 eV for the cell shown. As for the total magnetization: 0.03 μB per atom.

Cell: 6.513 6.513 6.513 Å, 90.00 90.00 90.00°
Space group F-43m (No. 216)
Symmetry-distinct sites (fractional):
Nd 0.000 0.000 0.000 (multiplicity 4)
Dy 0.000 0.000 0.500 (multiplicity 4)
B 0.250 0.250 0.750 (multiplicity 4)



Number 2 is which compound?
NdDyB

* * * * *

# 1
Compound: BaYNi
Source: Alexandria via LeMat-Bulk
Functional: PBE
Structure: optimized geometry

Values from the calculation:
Space group: No. 2
E_tot, eV per cell: -29.04
Calculated formation energy, eV per atom: -0.12
Energy above the most stable polymorph in this dataset, eV per formula unit: 0.16

Unit cell a=3.913 b=5.200 c=11.072 alpha=84.72 beta=80.74 gamma=68.02
Fractional positions:
Ba1 0.724 0.249 0.334
Ba2 0.276 0.751 0.666
Y1 0.900 0.281 0.910
Y2 0.100 0.719 0.090
Ni1 0.384 0.147 0.096
Ni2 0.616 0.853 0.904

# 2
Compound: BaY2Ni2
Source: Alexandria via LeMat-Bulk
Functional: PBE
Structure: optimized geometry

Values from the calculation:
Space group: No. 139
E_tot, eV per cell: -26.83
Calculated formation energy, eV per atom: -0.08
Energy above the most stable polymorph in this dataset, eV per formula unit: 0.00

Unit cell a=4.766 b=4.766 c=6.662 alpha=69.04 beta=69.04 gamma=90.00
Fractional positions:
Y1 0.750 0.250 0.500
Y2 0.250 0.750 0.500
Ni1 0.391 0.391 0.218
Ni2 0.609 0.609 0.782
Ba1 0.000 0.000 0.000

# 3
Compound: BaYNi2
Source: Alexandria via LeMat-Bulk
Functional: PBE
Structure: optimized geometry

Values from the calculation:
Space group: No. 122
E_tot, eV per cell: -37.48
Calculated formation energy, eV per atom: 0.30
Energy above the most stable polymorph in this dataset, eV per formula unit: 1.61

Unit cell a=7.647 b=7.647 c=6.438 alpha=53.57 beta=53.57 gamma=90.00
Fractional positions:
Y1 0.500 0.500 0.000
Y2 0.250 0.750 0.500
Ni1 0.591 0.125 0.250
Ni2 0.159 0.625 0.250
Ni3 0.375 0.409 0.750
Ni4 0.875 0.841 0.750
Ba1 0.000 0.000 0.000
Ba2 0.750 0.250 0.500

# 4
Compound: BaY2Ni
Source: Alexandria via LeMat-Bulk
Functional: PBE
Structure: optimized geometry

Values from the calculation:
Space group: No. 141
E_tot, eV per cell: -37.90
Calculated formation energy, eV per atom: 0.42
Energy above the most stable polymorph in this dataset, eV per formula unit: 1.97

Unit cell a=8.102 b=8.102 c=8.083 alpha=59.92 beta=59.92 gamma=90.00
Fractional positions:
Y1 0.375 0.125 0.250
********

"Alex Salmond wants the oil but he's deliberately ignored the pollution that comes with it. It's time for the SNP to take responsibility and choose between saving the planet and drilling for every last drop of oil. The SNP were weaned on oil and they're still hooked on it. An independent Scotland would have to deal with these emissions, so why won't SNP Ministers come clean now?

Crystal structures, kept here for reference:
- - -
Version w
Entry from the Alexandria database: a relaxed RbHf crystal (PBE).

The structure in POSCAR format:
```
RbHf
1.0
3.255 0.000 0.000
-1.627 2.819 0.000
0.000 0.000 13.824
Rb Hf
2 2
Cartesian
0.000 1.879 0.000
1.627 0.940 6.912
0.000 1.879 3.437
1.627 0.940 10.349
```

Calculated values
total moment	0.48	μB per formula unit
crystal system	hexagonal

---

Version x
Entry from the Alexandria database: a relaxed RbHf crystal (PBE).

The structure in POSCAR format:
```
RbHf
1.0
8.751 0.000 0.000
0.000 4.949 0.000
0.000 0.000 17.781
Rb Hf
8 8
Cartesian
1.155 1.237 4.333
1.180 1.237 16.506
3.196 3.711 7.615
3.220 3.711 13.223
5.531 1.237 4.558
5.555 1.237 10.166
7.571 3.711 1.275
7.595 3.711 13.448
0.121 3.711 9.527
1.034 1.237 10.762
3.342 3.711 1.872
4.254 1.237 0.637
4.497 3.711 17.144
5.409 1.237 15.909
7.717 3.711 7.019
8.629 1.237 8.254
```

Calculated values
total moment	0.00	μB per formula unit
crystal system	orthorhombic

---

Version y
Entry from the Alexandria database: a relaxed RbHf crystal (PBE).

The structure in POSCAR format:
```
RbHf
1.0
10.665 0.000 0.000
0.000 10.665 0.000
0.000 0.000 10.665
Rb Hf
6 6
Cartesian
0.000 2.666 5.333
0.000 7.999 5.333
2.666 5.333 0.000
5.333 0.000 2.666
5.333 0.000 7.999
7.999 5.333 0.000
0.000 5.333 2.666
0.000 5.333 7.999
2.666 0.000 5.333
5.333 2.666 0.000
5.333 7.999 0.000
7.999 0.000 5.333
```

Calculated values
total moment	3.00	μB per formula unit
crystal system	cubic

---

Version z
Entry from the Alexandria database: a relaxed RbHf crystal (PBE).

The structure in POSCAR format:
```
RbHf
1.0
3.333 0.000 0.000
0.000 3.386 0.000
0.000 0.000 13.496
Rb Hf
2 2
Cartesian
0.833 0.847 2.244
2.500 2.540 11.252
0.833 2.540 5.815
2.500 0.847 7.681
```

Calculated values
total moment	0.23	μB per formula unit
crystal system	orthorhombic

---

What should be chosen as the most stable of them? Choose version z.


1.
First-principles (PBE) data for crystalline Ba4LaTl5 at its relaxed geometry, as listed in Alexandria.

- symmetry = No. 123
- Fermi-level density of states (states/eV/f.u.) = 8.82
- VASP energy (eV per formula unit) = -28.44

abc: 4.2010 4.2010 21.4938
angles: 90.00 90.00 90.00
Positions (direct):
1 Ba 0.0000 0.0000 0.1020
2 Ba 0.0000 0.0000 0.3087
3 Ba 0.0000 0.0000 0.6913
4 Ba 0.0000 0.0000 0.8980
5 La 0.0000 0.0000 0.5000
6 Tl 0.5000 0.5000 0.0000
7 Tl 0.5000 0.5000 0.2034
8 Tl 0.5000 0.5000 0.4162
9 Tl 0.5000 0.5000 0.5838
10 Tl 0.5000 0.5000 0.7966

=====

2.
First-principles (PBE) data for crystalline Ba5LaTl6 at its relaxed geometry, as listed in Alexandria.

- symmetry = No. 12
- Fermi-level density of states (states/eV/f.u.) = 9.34
- VASP energy (eV per formula unit) = -33.55

abc: 10.4212 10.4212 6.0348
angles: 106.56 106.56 47.28
Positions (direct):
1 Ba 0.0000 0.0000 0.0000
2 Ba 0.1602 0.1602 0.6598
3 Ba 0.3176 0.3176 0.3182
4 Ba 0.6824 0.6824 0.6818
5 Ba 0.8398 0.8398 0.3402
6 La 0.5000 0.5000 0.0000
7 Tl 0.1202 0.5673 0.8449
8 Tl 0.2875 0.7125 0.5000
9 Tl 0.4327 0.8798 0.1551
- - -
Back to the article:

"These figures blow the SNP's oil spin out of the water. Whether Salmond likes it or not, sooner or later he will have to accept he can't reconcile his oil obsession with his rhetoric on the environment. I don't hold out much hope though: he's always at the front of the queue for the cash from oil and gas, but I can't see him coming clean about the pollution this industry causes.

"It's not small beer, either: more than a quarter of all Scotland's climate pollution comes from the offshore industries. Scotland will never be able to play a responsible role on the environment unless we make the real switch away from these dead-end industries and towards a true low carbon future. We've hit the jackpot twice, first with oil, then with wave, tidal and wind power. Our oil has been in decline since 1999, but the renewable potential will last forever, and with real commitment from the next Scottish Government we could really lead the world. A low-carbon economy is an economy built on high-skill jobs, too, which is just what Scotland needs in these hard economic times.

"The reality is that we have seen two decades of inactivity on the environment from every other party, and endless opportunities to save energy and cut bills have been missed. It should therefore be no surprise that Scotland hasn't achieved the reductions in emissions Ministers have claimed. We can no longer afford governments that simply talk about climate change, and this SNP administration has proved itself unfit for purpose. Without a radical change next May, the Scottish Government will only ever lead the world in targets, not in real achievements."

The 90% figure is Scottish Ministers' own. They state in the executive summary of "An Oil Fund for Scotland: Taking forward our National Conversation" that:
"A significant proportion of oil and gas reserves on the UK Continental Shelf are located in waters close to Scotland. It is estimated that thus far, approximately 90 per cent of the UK's oil and gas revenues have been extracted from an area that could be classified as comprising Scotland's geographical share of the UK Continental Shelf."

Unallocated emissions are set out in table ES1, on page xi of the 2008 publication "Greenhouse Gas Inventories for England, Scotland, Wales and Northern Ireland: 1990 - 2008"

It shows that emissions allocated to Scotland have fallen from 68.2 million tonnes of CO2 equivalent (mt CO2-e) in 1990 to 53.7mt CO2-e in 2008, while "unallocated emissions" rose from 15.2mt CO2-e to 16.1mt CO2-e over the same period. Allocating Scotland 90% of these emissions, in line with the share of the UK oil and gas industry claimed by the SNP, would see an increase of 14.5mt CO2-e in Scotland's emissions to a total of 68.2mt CO2-e, more than a quarter above the figure claimed by Scottish Ministers. The actual reduction in Scotland's emissions since 1990 would also be just 16.7%, not the 21.2% claimed by Ministers.

Here the piece breaks off for crystal structures =
/*
# 1
VASP calculation (PBE) on LaTb3TmTh after structural relaxation.

Structure (extended XYZ):
```
12
Lattice="-3.1353 -3.1056 2.5005 -3.5186 -2.0230 -6.9245 8.3524 -6.0234 2.9917" Properties=species:S:1:pos:R:3 pbc="T T T"
La 1.2317 -2.7896 0.6519
Tm 4.0102 -4.8256 1.6070
Tb -5.0376 -4.3391 -3.9891
La 0.4669 -8.3625 -2.0842
Tb 6.7362 -6.8130 2.5567
Tb 0.8101 -4.7830 -2.3526
Tb -1.9830 -4.3487 -0.1708
Th -1.9484 -2.7658 -3.3060
Tb 0.8885 -6.3691 0.9203
Th 3.6470 -8.3863 1.8737
Tm -2.3116 -6.3265 -3.0393
Tb 3.6816 -6.8034 -1.2615
```

- ΔE_f (eV/atom) = 0.04
- space-group type = No. 11

***

# 2
VASP calculation (PBE) on Sr2TlBi3Rh4 after structural relaxation.

Structure (extended XYZ):
```
10
Lattice="4.6669 0.0000 0.0000 0.0000 4.6669 0.0000 0.0000 0.0000 11.1876" Properties=species:S:1:pos:R:3 pbc="T T T"
Bi 0.0000 2.3334 1.4289
Bi 2.3334 0.0000 9.7587
Tl 2.3334 2.3334 5.5938
Bi 0.0000 0.0000 5.5938
Sr 0.0000 2.3334 8.4268
Rh 0.0000 2.3334 4.1023
Rh 0.0000 0.0000 0.0000
Rh 2.3334 0.0000 7.0854
Rh 2.3334 2.3334 0.0000
Sr 2.3334 0.0000 2.7609
```

- ΔE_f (eV/atom) = -0.37
- space-group type = No. 115

***

# 3
VASP calculation (PBE) on ZnFe2Mo after structural relaxation.

Structure (extended XYZ):
```
4
Lattice="4.7794 0.0045 0.0452 3.9576 2.6795 0.0452 1.3443 0.4130 4.0929" Properties=species:S:1:pos:R:3 pbc="T T T"
Zn 2.5807 0.7928 0.9285
Mo 4.9755 1.5285 2.2038
Fe 0.1217 0.0374 0.0258
Fe 7.4439 2.2868 3.1169
```

- ΔE_f (eV/atom) = 0.15
- space-group type = No. 8

***

# 4
VASP calculation (PBE) on Tb3Tl5S12 after structural relaxation.

Structure (extended XYZ):
```
80
Lattice="13.8418 0.0000 0.0000 -4.6139 13.0502 0.0000 -4.6139 -6.5251 11.3018" Properties=species:S:1:pos:R:3 pbc="T T T"
S -0.6269 0.8008 2.5045
Tl 8.0744 -0.8156 7.0636
S -2.9339 7.3259 8.7973
Tl 1.1535 4.0782 9.8890
S 3.2709 5.5936 4.6794
S -3.9870 5.8319 6.2096
S 1.3430 0.9315 6.6224
S 0.0935 4.4702 4.6767
S 1.6800 5.0311 7.5966
Tl -2.3070 6.5251 0.0000
S 5.0445 -1.6859 10.3302
Tb -5.7674 6.5251 8.4763
S 5.5779 -0.9315 6.6224
S 7.0144 11.6026 0.5587
S -0.4306 8.2109 0.9715
Tb 3.4604 0.0000 8.4763
S 1.8764 -1.6843 10.3275
Tl -2.3070 -3.2625 5.6509
S 0.6269 8.0191 7.5966
Tl 2.3070 3.2625 5.6509
S -1.6800 -0.6932 5.0921
S 10.1918 2.9384 3.1464
Tl 3.4604 9.7876 2.8254
S -0.9640 7.4566 4.6794
Tl 4.6139 -3.2625 5.6509
Tl 0.0000 0.0000 0.0000
Tl 6.9209 0.0000 0.0000
Tb 5.7674 0.8156 4.2382
Tl -3.4604 7.3407 4.2382
S 5.0445 1.6843 10.3275
S 5.9569 2.0069 1.5330
S 5.9569 10.1118 3.1464
Tl 4.6139 6.5251 0.0000
S 7.5478 -0.8008 2.5045
Tb -1.1535 5.7094 7.0636
Tb 8.0744 8.9720 1.4127
S -3.6500 11.0433 1.5330
S 2.2134 8.5800 4.6767
S 4.5204 2.0549 6.6251
Tl -1.1535 10.6033 1.4127
S 2.7375 8.2094 0.9742
Tb 3.4604 7.3407 7.0636
S -5.5779 3.5867 8.1554
Tl -1.1535 3.2625 2.8254
S 1.8764 1.6859 10.3302
Tl 5.7674 -4.0782 9.8890
Tb -3.4604 -2.4469 9.8890
S 3.9870 -1.4940 3.7051
S 6.4903 6.5235 1.9458
S -2.4005 3.0227 7.1839
S 5.2409 5.7243 8.7973
Tb -3.4604 2.4469 9.8890
*/
Back to the piece =

Calculations available here (Google spreadsheet, numbers taken from table ES1 linked to above)